_Source_
'''
A plane-wave DFT calculation with PBE-GGA was carried out for a relaxed SmFe4B4 crystal.

Density of states at the Fermi level ... 14.314 states/eV/cell
Energy relative to the elements ... -455 meV per atom
Size of the total moment ... 0.76 μB per formula unit
Volume ... 187.18 Å³ per cell

```
data_SmFe4B4
_chemical_formula_sum 'Sm2 Fe8 B8'
_cell_length_a 7.0099
_cell_length_b 7.0099
_cell_length_c 3.8093
_cell_angle_alpha 90.00
_cell_angle_beta 90.00
_cell_angle_gamma 90.00
_symmetry_space_group_name_H-M 'P 42/n'
_symmetry_Int_Tables_number 86
loop_
_symmetry_equiv_pos_as_xyz
'x,y,z'
'-x,-y,-z'
'-y,x+1/2,z+1/2'
'y,-x+1/2,-z+1/2'
'-x+1/2,-y+1/2,z'
'x+1/2,y+1/2,-z'
'y+1/2,-x,z+1/2'
'-y+1/2,x,-z+1/2'
loop_
_atom_site_label
_atom_site_type_symbol
_atom_site_fract_x
_atom_site_fract_y
_atom_site_fract_z
Sm1 Sm 0.2500 0.2500 0.2500
Fe1 Fe 0.1179 0.6369 0.1422
B1 B 0.0490 0.9160 0.1441
```
'''

_Assignment_
Next, quote all of the contents earlier on verbatim.

_Result_
A plane-wave DFT calculation with PBE-GGA was carried out for a relaxed SmFe4B4 crystal.

Density of states at the Fermi level ... 14.314 states/eV/cell
Energy relative to the elements ... -455 meV per atom
Size of the total moment ... 0.76 μB per formula unit
Volume ... 187.18 Å³ per cell

```
data_SmFe4B4
_chemical_formula_sum 'Sm2 Fe8 B8'
_cell_length_a 7.0099
_cell_length_b 7.0099
_cell_length_c 3.8093
_cell_angle_alpha 90.00
_cell_angle_beta 90.00
_cell_angle_gamma 90.00
_symmetry_space_group_name_H-M 'P 42/n'
_symmetry_Int_Tables_number 86
loop_
_symmetry_equiv_pos_as_xyz
'x,y,z'
'-x,-y,-z'
'-y,x+1/2,z+1/2'
'y,-x+1/2,-z+1/2'
'-x+1/2,-y+1/2,z'
'x+1/2,y+1/2,-z'
'y+1/2,-x,z+1/2'
'-y+1/2,x,-z+1/2'
loop_
_atom_site_label
_atom_site_type_symbol
_atom_site_fract_x
_atom_site_fract_y
_atom_site_fract_z
Sm1 Sm 0.2500 0.2500 0.2500
Fe1 Fe 0.1179 0.6369 0.1422
B1 B 0.0490 0.9160 0.1441
```